# Activity
Say how many lines of the rows further below hold the word "the", as a bare number.

# Excerpt
........
# 1
Crystalline YHfPO at its relaxed geometry. Source: OQMD via LeMat-Bulk, functional PBE-GGA.

Summary:
- Space-group type: Pmma (51)
- Volume: 18.58 Å³/atom
- Relative energy among the computed polymorphs: 144 meV per atom

Cell: 4.0242 7.2601 5.0877 Å, 90.00 90.00 90.00°
With the nearest neighbours (Å) after each atom.
Fractional coordinates of all 8 atoms:
O  0.5000  0.6788  0.9385  2 Hf 2.10, 1 Y 2.33
O  0.5000  0.3212  0.4385  2 Hf 2.10, 1 Y 2.33
Y  0.5000  0.6420  0.4387  3 O 2.33-2.56
Y  0.5000  0.3580  0.9387  3 O 2.33-2.56
P  0.0000  0.8838  0.4381  3 Hf 2.57-2.69, 2 Y 2.67
P  0.0000  0.1162  0.9382  3 Hf 2.57-2.69, 2 Y 2.67
Hf  0.0000  0.7622  0.9386  2 O 2.10
Hf  0.0000  0.2378  0.4386  2 O 2.10

=====

# 2
Crystalline YHfPO at its relaxed geometry. Source: OQMD via LeMat-Bulk, functional PBE-GGA.

Summary:
- Space-group type: P4/nmm (129)
- Volume: 16.70 Å³/atom
- Relative energy among the computed polymorphs: 487 meV per atom

Cell: 4.1188 4.1188 7.8736 Å, 90.00 90.00 90.00°
With the nearest neighbours (Å) after each atom.
Fractional coordinates of all 8 atoms:
Hf  0.5000  0.0000  0.8910  4 O 2.23
Hf  0.0000  0.5000  0.1090  4 O 2.23
Y  0.5000  0.5000  0.5000  4 P 2.77, 4 Y 2.91
Y  0.0000  0.0000  0.5000  4 P 2.77, 4 Y 2.91
P  0.5000  0.0000  0.2645  4 Y 2.77, 4 O 2.93, 1 Hf 2.94
P  0.0000  0.5000  0.7355  4 Y 2.77, 4 O 2.93, 1 Hf 2.94
O  0.0000  0.0000  0.0000  4 Hf 2.23
O  0.5000  0.5000  0.0000  4 Hf 2.23

=====

# 3
Crystalline YHfPO at its relaxed geometry. Source: OQMD via LeMat-Bulk, functional PBE-GGA.

Summary:
- Space-group type: Pmma (51)
- Volume: 22.66 Å³/atom
- Relative energy among the computed polymorphs: 726 meV per atom

Cell: 3.4101 5.5306 9.6128 Å, 90.00 90.00 90.00°
With the nearest neighbours (Å) after each atom.
Fractional coordinates of all 8 atoms:
Hf  0.0000  0.9100  0.5614  1 O 1.92
Hf  0.0000  0.0900  0.0614  1 O 1.92
O  0.0000  0.5629  0.5614  1 Hf 1.92
O  0.0000  0.4371  0.0614  1 Hf 1.92
P  0.0000  0.0005  0.8113  2 Hf 2.45
P  0.0000  0.9995  0.3113  2 Hf 2.45
Y  0.0000  0.4995  0.3118  2 O 2.43
Y  0.0000  0.5005  0.8118  2 O 2.43

=====

# 4
Crystalline HfZnPO at its relaxed geometry. Source: OQMD via LeMat-Bulk, functional PBE-GGA.

Summary:
- Space-group type: Pmc2_1 (26)
- Total energy: -6.729 eV/atom
- Volume: 15.85 Å³/atom

Cell: 3.4941 5.8166 6.2374 Å, 90.00 90.00 90.00°
With the nearest neighbours (Å) after each atom.
Fractional coordinates of all 8 atoms:
P  0.0000  0.2809  0.8206  2 Zn 2.34-2.42
P  0.0000  0.7191  0.3206  2 Zn 2.34-2.42
O  0.5000  0.2614  0.3644  2 Hf 2.07-2.14, 2 Zn 2.14
O  0.5000  0.7386  0.8644  2 Hf 2.07-2.14, 2 Zn 2.14
Hf  0.5000  0.4637  0.0913  2 O 2.07-2.14
Hf  0.5000  0.5363  0.5913  2 O 2.07-2.14
Zn  0.0000  0.9147  0.9777  2 O 2.14, 1 P 2.34
Zn  0.0000  0.0853  0.4777  2 O 2.14, 1 P 2.34

=====

# 5
Crystalline HfZnPO at its relaxed geometry. Source: OQMD via LeMat-Bulk, functional PBE-GGA.

Summary:
- Space-group type: P4/nmm (129)
- Total energy: -6.754 eV/atom
- Volume: 14.05 Å³/atom

Cell: 3.5888 3.5888 8.7248 Å, 90.00 90.00 90.00°
With the nearest neighbours (Å) after each atom.
Fractional coordinates of all 8 atoms:
Zn  0.0000  0.0000  0.5000  4 Zn 2.54, 4 P 2.58
Zn  0.5000  0.5000  0.5000  4 Zn 2.54, 4 P 2.58
O  0.0000  0.0000  0.0000  4 Hf 2.17
O  0.5000  0.5000  0.0000  4 Hf 2.17
Hf  0.5000  0.0000  0.8601  4 O 2.17
Hf  0.0000  0.5000  0.1399  4 O 2.17
P  0.5000  0.0000  0.2874  4 Zn 2.58, 4 Hf 2.85
P  0.0000  0.5000  0.7126  4 Zn 2.58, 4 Hf 2.85

=====

# 6
Crystalline HfZnPO at its relaxed geometry. Source: OQMD via LeMat-Bulk, functional PBE-GGA.

Summary:
- Space-group type: P4/nmm (129)
- Total energy: -6.087 eV/atom
- Volume: 19.00 Å³/atom

Cell: 4.2456 4.2456 8.4312 Å, 90.00 90.00 90.00°
With the nearest neighbours (Å) after each atom.
........

# Result
9